Enough with the wacky deals!

Minutes ago, I got a text from the network I’m prescribed to telling me how I can now talk all night for only 1 rwf/min. I’m sure they meant well and hoped I would jump up and down in excitement but all it did was piss me off.  Seriously, what would I be doing talking all night instead of enjoying that natural, most awesome thing called sleep?

Materials data from another source follow:
No. 1
This record from Alexandria describes a relaxed Li2ZrRu2 crystal. The functional is GGA-PBE.

a = 6.5391 Å, b = 6.5391 Å, c = 3.2640 Å
α = 90.00°, β = 90.00°, γ = 90.00°
Fractional coordinates of all 10 atoms:
Zr 0.0000 0.0000 0.0000
Zr 0.5000 0.5000 0.0000
Ru 0.6901 0.8099 0.5000
Ru 0.8099 0.3099 0.5000
Ru 0.3099 0.1901 0.5000
Ru 0.1901 0.6901 0.5000
Li 0.8921 0.6079 0.0000
Li 0.1079 0.3921 0.0000
Li 0.3921 0.8921 0.0000
Li 0.6079 0.1079 0.0000

- Relative energy among the computed polymorphs: 0 meV per atom
- ΔH_f (0 K): 3.2 kcal/mol of atoms
- Total magnetization: 0.000 μB/f.u.

No. 2
This record from Alexandria describes a relaxed KAg2OsCl8 crystal. The functional is GGA-PBE.

a = 6.3351 Å, b = 7.3324 Å, c = 8.6308 Å
α = 85.00°, β = 92.95°, γ = 120.29°
Last column: magnetic moment on the atom in μB.
Fractional coordinates of all 12 atoms:
Cl 0.5630 0.2903 0.4779  0.05
Cl 0.9242 0.1880 0.7972  0.11
Cl 0.0124 0.2369 0.1704  0.08
Cl 0.4370 0.7097 0.5221  0.05
Cl 0.5793 0.7791 0.0391  0.09
Cl 0.9876 0.7631 0.8296  0.08
Cl 0.0758 0.8120 0.2028  0.11
Cl 0.4207 0.2209 0.9609  0.09
Ag 0.4798 0.5274 0.2866  0.08
Ag 0.5202 0.4726 0.7134  0.08
K 0.0000 0.0000 0.5000  0.00
Os 0.0000 0.0000 0.0000  1.73

- Uncorrected formation energy: -667 meV/atom
- Total magnetization: 2.917 μB/f.u.

No. 3
This record from Alexandria describes a relaxed AcPb2ClO4 crystal. The functional is GGA-PBE.

a = 4.1378 Å, b = 4.1378 Å, c = 9.1273 Å
α = 90.00°, β = 90.00°, γ = 90.00°
Fractional coordinates of all 8 atoms:
Cl 0.0000 0.0000 0.5000
O 0.0000 0.5000 0.1692
O 0.5000 0.0000 0.1692
O 0.0000 0.5000 0.8308
O 0.5000 0.0000 0.8308
Pb 0.5000 0.5000 0.7165
Pb 0.5000 0.5000 0.2835
Ac 0.0000 0.0000 0.0000

- Uncorrected formation energy: -1615 meV/atom
- Total magnetization: 0.000 μB/f.u.

No. 4
This record from Alexandria describes a relaxed MgW8 crystal. The functional is GGA-PBE.

a = 6.1616 Å, b = 6.1616 Å, c = 6.1616 Å
α = 97.71°, β = 97.71°, γ = 137.04°
Fractional coordinates of all 9 atoms:
W 0.0000 0.3338 0.3338
W 0.0000 0.6662 0.6662
W 0.3356 0.6644 0.0000
W 0.6644 0.6644 0.3288
W 0.6662 0.0000 0.6662
W 0.3356 0.3356 0.6712
W 0.3338 0.0000 0.3338
W 0.6644 0.3356 0.0000
Mg 0.0000 0.0000 0.0000

- ΔH_f (0 K): 10.1 kcal/mol of atoms
- Total magnetization: 0.000 μB/f.u.

No. 5
This record from Alexandria describes a relaxed Sc3SnH2 crystal. The functional is GGA-PBE.

a = 3.3368 Å, b = 5.8528 Å, c = 11.2103 Å
α = 109.18°, β = 98.56°, γ = 90.00°
Fractional coordinates of all 12 atoms:
Sc 0.7636 0.7432 0.5273
Sc 0.2364 0.2568 0.4727
Sc 0.0314 0.7954 0.0628
Sc 0.3928 0.6743 0.7855
Sc 0.9686 0.2046 0.9372
Sc 0.6072 0.3257 0.2145
H 0.7074 0.3944 0.4147
H 0.0574 0.1717 0.1149
H 0.2926 0.6056 0.5853
H 0.9426 0.8283 0.8851
Sn 0.6468 0.8605 0.2936
Sn 0.3532 0.1395 0.7064

- Total magnetization: 0.002 μB/f.u.

No. 6
This record from Alexandria describes a relaxed Ac12Pm3Hg5 crystal. The functional is GGA-PBE.

a = 17.0560 Å, b = 17.0560 Å, c = 17.0560 Å

Friday, April 26, 2013

Minutes ago, I got a text from the network I’m prescribed to telling me how I can now talk all night for only 1 rwf/min. I’m sure they meant well and hoped I would jump up and down in excitement but all it did was piss me off.  Seriously, what would I be doing talking all night instead of enjoying that natural, most awesome thing called sleep?

And what are they waiting for to give me that deal when my eyes are not heavy with snooze - preferably when I’m down on credit and have only about 10 francs keeping my phone warm? Also, this business of offering me silly discounts on calls…dude…just give me free calls…even if it’s for an hour! I speak with a lot of beef because in the two years I have been on this network, I have never been given any! My mother always taught me to fight for what I believe in, and I do believe I deserve some free calls (this isn’t some sort of trick to get free calls by the way, I’m seriously pissed).As for the bars that tell you to buy two drinks and get one free – yeah about that… I’m more than capable of buying myself that one free drink you are offering me. I understand its business but can’t you at least offer me brochette or some ribs? Now that’s a deal. The other day, I was doing what I do best – window shopping – and I entered this shoe store. This was quite extraordinary for me because I usually like pouncing on hawkers and bargaining till the last possible price.

-- Misplaced data records --
┌──
Version one
CaPm3Pd2 (PBE, relaxed); calculated volume = 30.298 Å³ per atom
1.0
7.0104 0.0000 0.0000
0.0000 7.3694 0.0000
-3.5052 -3.6847 7.0375
Pd Ca Pm
4 2 6
direct
0.5646 0.3597 0.7193 Pd
0.1547 0.8597 0.7193 Pd
0.8453 0.1403 0.2807 Pd
0.4354 0.6403 0.2807 Pd
0.0000 0.0000 0.0000 Ca
0.0000 0.5000 0.0000 Ca
0.7665 0.0165 0.5330 Pm
0.5000 0.7500 0.0000 Pm
0.2335 0.4835 0.4670 Pm
0.2335 0.9835 0.4670 Pm
0.7665 0.5165 0.5330 Pm
0.5000 0.2500 0.0000 Pm


Version two
CaPm3Pd2 (PBE, relaxed); calculated volume = 27.496 Å³ per atom
1.0
-3.9976 -0.0264 -2.9085
-4.3309 -0.8574 5.9606
-0.6504 8.9371 0.8130
Pm Pd Ca
6 4 2
direct
0.0000 0.3545 0.3281 Pm
0.0000 0.9860 0.0822 Pm
0.0000 0.8545 0.6719 Pm
0.5000 0.6456 0.1657 Pm
0.0000 0.4860 0.9178 Pm
0.5000 0.1456 0.8343 Pm
0.5000 0.7511 0.8497 Pd
0.5000 0.2511 0.1503 Pd
0.0000 0.2478 0.6582 Pd
0.0000 0.7478 0.3418 Pd
0.5000 0.0150 0.4216 Ca
0.5000 0.5150 0.5784 Ca


Which structure wins on stability? version two wins.

----------

! CaCuRu2 | Alexandria | PBE | optimized geometry; values from VASP
! ΔE_f = 0.517 eV/atom
! Theoretical density = 7.7 Mg/m³
! M_tot = 0.224 μB/atom
! Crystal system = tetragonal
&SYSTEM
  ibrav = 0, nat = 4, ntyp = 3
/
ATOMIC_SPECIES
Cu 63.55 Cu.upf
Ca 40.08 Ca.upf
Ru 101.07 Ru.upf
ATOMIC_POSITIONS crystal
Cu 0.750 0.250 0.500
Ca 0.250 0.750 0.500
Ru 0.000 0.000 0.000
Ru 0.500 0.500 0.000
CELL_PARAMETERS angstrom
5.254 0.023 0.000
2.450 4.648 0.000
-3.852 -2.336 2.704

! InSnAu | Alexandria | PBE | optimized geometry; values from VASP
! ΔE_f = -0.176 eV/atom
! Theoretical density = 9.4 Mg/m³
! M_tot = 0.000 μB/atom
! Crystal system = orthorhombic
&SYSTEM
  ibrav = 0, nat = 12, ntyp = 3
/
ATOMIC_SPECIES
Sn 118.71 Sn.upf
Au 196.97 Au.upf
In 114.82 In.upf
ATOMIC_POSITIONS crystal
Sn 0.250 0.005 0.870
Sn 0.750 0.505 0.630
Sn 0.250 0.495 0.370
Sn 0.750 0.995 0.130
Au 0.250 0.257 0.624
Au 0.750 0.757 0.876
Au 0.750 0.743 0.376
Au 0.250 0.243 0.124
In 0.250 0.503 0.880
In 0.750 0.003 0.620
In 0.750 0.497 0.120
In 0.250 0.997 0.380
CELL_PARAMETERS angstrom
4.682 0.000 0.000
0.000 6.883 0.000
0.000 0.000 9.432
└──

So I started checking out shoes I have no intention of buying, going as far as trying them on and walking around the place. The sales lady came out and showered me with compliments. Since I live for compliments, I decided to try on some more pairs to the excitement of the lady thinking she’d scored a ‘serious’ customer.

I asked the price and what she told me almost made me choke on the gum I was chewing. I acted casual but I think she could see it in my eyes because she quickly told me it was negotiable. Since I live for bargains too, we went right to it. I suspect they hadn’t made that much or perhaps they buy them real cheap then come and sell them at alarming prices because I was given the deal of the century. 

If I took the shoes that I had bargained for so passionately, I would get a free pair of wedges. Considering I had used my special skills in bargaining to the fullest, another pair of shoes didn’t sound so bad…as a matter of fact, I bit on my lower lip when they made me the deal. It was all I could do to stop myself from swallowing my gum in disbelief! Now that’s a deal…